Welcome to Portage Press! The Greater Portage Chamber of Commerce hopes you enjoy our new weekly e-communication just for chamber members! Submit your newsworthy entries for FREE every Friday for our Wednesday blast to the entire membership!
Simply fill out the events form on our Contact Us page of our website. www.portageinchamber.com
New Twist to November Luncheon
Greater Portage Chamber
Please take note that the November Chamber Luncheon will have a little twist this month. The luncheon will be held at Texas Roadhouse in Portage at 11:30 am on November 21. Roberta Tuft, Portage Chamber's outgoing president and Mike Sarver, Portage Chamber's treasurer will present the 2013 "State of the Chamber". Please RSVP to the Chamber office at 219-762-3300 or e-mail nsimpson@portageinchamber.com.
Infusion Center Celebrates 1st Anniversary
Porter Regional Hospital
Porter Regional Hospital's Outpatient Infusion Center Celebrates 1st Anniversary
Porter Regional Hospital's Outpatient Infusion Center recently celebrated its one year anniversary. While chemotherapy patients comprise the majority of the Porter's infusion patients, the Center also provides a host of intravenous medications and treatments on an outpatient basis. Some of the other conditions treated include rheumatoid arthritis, various immune deficiencies, blood disorders and diseases requiring intravenous antibiotics.
"Free Yourself From the Pain of Shame"
Porter-Starke Services
[Attached: calculated crystals]
-- begin --
{
  "formula": "VNiRu2",
  "functional": "PBE-GGA",
  "state": "optimized geometry",
  "lattice": [[-0.114, 1.293, 3.372], [-2.080, -2.979, 1.072], [3.164, -1.907, 0.838]],
  "species": ["Ru", "Ru", "V", "Ni"],
  "fractional_positions": [[0.000, 0.000, 0.500], [0.000, 0.500, 0.000], [0.500, 0.500, 0.500], [0.500, 0.000, 0.000]],
  "dos_ef_per_ev_cell": 3.800,
  "formation_energy_mev_per_atom": -164.5,
  "dft_energy_ev_per_fu": -34.11
}

----------

# 1
Compound: SrTeAsI2
Source: Alexandria via LeMat-Bulk
Functional: PBE
Structure: optimized geometry

Cell: 6.2805 6.2805 6.7401 Å, 90.00 90.00 90.00°
Last column: nearest neighbours and their distance in Å.
Positions (direct):
As 0.5000 0.5000 0.5000  4 Te 4.44, 8 I 4.61
Sr 0.0000 0.0000 0.0000  4 I 3.14, 2 Te 3.37
I 0.0000 0.5000 0.0000  2 Sr 3.14
I 0.5000 0.0000 0.0000  2 Sr 3.14
Te 0.0000 0.0000 0.5000  2 Sr 3.37

The calculation puts the raw formation energy at -0.017 eV/atom. For the theoretical density, the calculation gives 3.40 g/cm3. As for the space group: No. 123. The value obtained for the total energy is -2.532 eV/atom. Its size of the total moment is 0.21 μB per atom.

# 2
Compound: Mg3ScAg4
Source: Alexandria via LeMat-Bulk
Functional: PBE
Structure: optimized geometry

Cell: 4.7433 6.7602 9.4841 Å, 90.00 90.00 90.00°
Last column: nearest neighbours and their distance in Å.
Positions (direct):
Sc 0.0000 0.5000 0.5000  8 Ag 2.92-2.93
Sc 0.0000 0.5000 0.0000  8 Ag 2.92-2.93
Mg 0.0000 0.0000 0.0000  8 Ag 2.90
Mg 0.4997 0.0000 0.2500  8 Ag 2.90
Mg 0.4997 0.5000 0.2500  8 Ag 2.92-2.93
Mg 0.5003 0.0000 0.7500  8 Ag 2.90
Mg 0.5003 0.5000 0.7500  8 Ag 2.92-2.93
Mg 0.0000 0.0000 0.5000  8 Ag 2.90
Ag 0.5000 0.7536 0.0000  6 Mg 2.90-2.93, 2 Sc 2.93
Ag 0.0004 0.2467 0.7500  6 Mg 2.90-2.93, 2 Sc 2.92
Ag 0.5000 0.7536 0.5000  6 Mg 2.90-2.93, 2 Sc 2.93
Ag 0.5000 0.2464 0.0000  6 Mg 2.90-2.93, 2 Sc 2.93
Ag 0.9996 0.7533 0.2500  6 Mg 2.90-2.93, 2 Sc 2.92
Ag 0.0004 0.7533 0.7500  6 Mg 2.90-2.93, 2 Sc 2.92
Ag 0.9996 0.2467 0.2500  6 Mg 2.90-2.93, 2 Sc 2.92
Ag 0.5000 0.2464 0.5000  6 Mg 2.90-2.93, 2 Sc 2.93

The formation energy comes out at -0.25 eV/atom. For the theoretical density, the calculation gives 6.00 g/cm3. As for the space group: No. 123. The value obtained for the total energy is -3.061 eV/atom. Its size of the total moment is 0.00 μB per atom.

# 3
Compound: Ce6PaO12
Source: Alexandria via LeMat-Bulk
Functional: PBE
Structure: optimized geometry

Cell: 6.7976 6.7976 6.7976 Å, 99.15 99.15 99.15°
Last column: nearest neighbours and their distance in Å.
Positions (direct):
O 0.5658 0.8229 0.4126  4 Ce 2.30-2.46
O 0.5874 0.4342 0.1771  4 Ce 2.30-2.46
O 0.4342 0.1771 0.5874  4 Ce 2.30-2.46
O 0.6889 0.0599 0.9301  1 Pa 2.21, 2 Ce 2.40-2.42
O 0.1771 0.5874 0.4342  4 Ce 2.30-2.46
O 0.3111 0.9401 0.0699  1 Pa 2.21, 2 Ce 2.40-2.42
O 0.4126 0.5658 0.8229  4 Ce 2.30-2.46
O 0.8229 0.4126 0.5658  4 Ce 2.30-2.46
O 0.9301 0.6889 0.0599  1 Pa 2.21, 2 Ce 2.40-2.42
-- stop --
On Tuesday, November 19, Porter-Starke Services will host its Learn@Lunch series with an informative educational lecture entitled, "Whole-Hearted Living: How to Free Yourself from the Pain of Shame" from 11:30-1:00 PM at Porter-Starke Services located at 3176 Lancer Street in Portage. Dana Samardzich, ACC, CPC, of Optimal Balance Coaching will be the featured presenter.
Please join us at this Learn@Lunch as Ms. Samardzich discusses shame and its impact on all people, as well has how society's expectations trigger and fuel shame. She will also teach us how to practice shame resilience. This Learn@Lunch topic is based on the work of Brene' Brown, Ph.D., LMSW.
There is no charge for the presentation. Please bring your own lunch. RSVP is required for attendance. For more information, please call (219) 476-4502 or email: aroof@porterstarke.org.
Super Sale
40% off Paints & Stains
30% off Painting Supplies
15% off "Inspired by Color" wall coverings
Friday Nov. 8th - Monday Nov. 11th
Mon - Fri 7am - 8pm
Sat - 8am - 6pm
Sun - 10am - 6pm
Contact Person Dave Gaught
Phone 219-762-6263
Email sw3287@sherwin.com
Members Reward & Gift Certificate Program
Portage Chamber
The Portage Chamber is updating its Member Reward Program and Gift Certificate Program. Please call Nancy at the Chamber office at 762-3300 if you would like to participate or if you have any questions. Increase your business visibility through these 2 FREE programs.
World COPD Awarness Day
Health Fair
St. Mary Medical Center
Pulmonologist Guarev Kumar, MD, will discuss symptoms, causes, diagnosis, and treatment options for COPD in an informational seminar on November 11 from 14 pm at the St. Mary Medical Center Auditorium, West Entrance. Visit the educational health fair and participate in free screenings.
Contact Person Jane Powers
~~~
The following is a DFT calculation (PBE) of crystalline TlCu2Os at its relaxed geometry.

Computed properties:
- density (g/cm³) = 14.06
- final energy (eV for the cell shown) = -38.69
- energy of formation (eV per atom) = 0.61
- total magnetic moment (μB per cell) = 0.870

Cell lengths 10.1342, 2.8448, 4.7629 Å; angles 90.00, 116.20, 90.00 degrees
With the nearest neighbours (Å) after each atom.
Space group Cm (No. 8)
Unique sites:
1 Tl 0.0000 0.0000 0.0000 x2  7 Cu 2.73-2.82, 3 Os 2.79-2.88, 2 Tl 2.84
2 Cu 0.0027 0.5000 0.4915 x2  3 Os 2.70-2.83, 5 Cu 2.70-2.96, 4 Tl 2.73-2.82
3 Cu 0.2403 0.0000 0.8768 x2  5 Cu 2.70-2.96, 4 Os 2.74-2.82, 3 Tl 2.75-2.82
4 Os 0.2617 0.5000 0.4068 x2  7 Cu 2.70-2.83, 3 Tl 2.79-2.88, 2 Os 2.84

=====

The following is a DFT calculation (PBE) of crystalline TlCu2Os at its relaxed geometry.

Computed properties:
- density (g/cm³) = 14.19
- final energy (eV for the cell shown) = -37.92
- energy of formation (eV per atom) = 0.71
- total magnetic moment (μB per cell) = 0.001

Cell lengths 4.0751, 4.0751, 7.3507 Å; angles 90.00, 90.00, 90.00 degrees
With the nearest neighbours (Å) after each atom.
Space group I4/mmm (No. 139)
Unique sites:
1 Tl 0.0000 0.0000 0.0000 x2  8 Cu 2.74, 4 Os 2.88
2 Cu 0.0000 0.5000 0.2500 x4  4 Tl 2.74, 4 Os 2.74, 4 Cu 2.88
3 Os 0.0000 0.0000 0.5000 x2  8 Cu 2.74, 4 Tl 2.88

=====

The following is a DFT calculation (PBE) of crystalline Tl2CuOs at its relaxed geometry.

Computed properties:
- density (g/cm³) = 14.84
- final energy (eV for the cell shown) = -33.28
- energy of formation (eV per atom) = 0.85
- total magnetic moment (μB per cell) = 0.000

Cell lengths 4.2902, 4.2902, 8.0537 Å; angles 90.00, 90.00, 90.00 degrees
With the nearest neighbours (Å) after each atom.
Space group I4/mmm (No. 139)
Unique sites:
1 Tl 0.0000 0.5000 0.2500 x4  4 Os 2.94, 4 Cu 2.94, 4 Tl 3.03
2 Cu 0.0000 0.0000 0.0000 x2  8 Tl 2.94, 4 Os 3.03
3 Os 0.0000 0.0000 0.5000 x2  8 Tl 2.94, 4 Cu 3.03

=====

The following is a DFT calculation (PBE) of crystalline Tl2CuOs at its relaxed geometry.

Computed properties:
- density (g/cm³) = 13.11
- final energy (eV for the cell shown) = -34.52
- energy of formation (eV per atom) = 0.70
- total magnetic moment (μB per cell) = 0.000

Cell lengths 12.9585, 2.9865, 4.6431 Å; angles 90.00, 110.89, 90.00 degrees
With the nearest neighbours (Å) after each atom.
Space group Cm (No. 8)
Unique sites:
1 Tl 0.0000 0.0000 0.0000 x2  2 Tl 2.99, 2 Os 2.99, 4 Cu 3.07
2 Tl 0.2189 0.0000 0.7198 x2  4 Os 2.76, 2 Tl 2.99
3 Cu 0.3892 0.0000 0.3893 x2  2 Os 2.59
4 Os 0.2144 0.5000 0.2155 x2  2 Cu 2.59, 4 Tl 2.76

=====

The following is a DFT calculation (PBE) of crystalline TlCu2Os at its relaxed geometry.

Computed properties:
- density (g/cm³) = 14.05
- final energy (eV for the cell shown) = -38.16
- energy of formation (eV per atom) = 0.68
- total magnetic moment (μB per cell) = 1.185

Cell lengths 3.9128, 3.9128, 8.0531 Å; angles 90.00, 90.00, 90.00 degrees
~~~
-- The text goes on --
Website www.comhs.org
Phone 1-866-836-3477
Email jcpowers@comhs.org
Festival of Trees & Choco-O-Lots
American Red Cross and Kiwanis November 8 the Porter County Chapter of the American Red Cross and Valparaiso Kiwanis Sunrise Club will be hosting "Festival of Trees" and "Choco-O-Lots" again this year at the Old Town Banquet Center, 712 Calumet Ave., Valparaiso, IN. Chocolate tasting will begin at 4pm and the auction of decorated trees and wreaths as well as additional silent auction items, will begin at 5:30pm. Tickets available at 755 W. Lincolnway, Valpo. $10 per person or $20 per family, up to 5 people (2 adults and 3 children). Questions call Angie at 462-8543.
Homeowner's Applications
Rebuilding Together Homeowner applications for 2014 Portage Rebuilding Together are available now. Homes to be considered are to be owner-occupied and double-wide or mobile homes are considered. Eligibility requirements include applicant lives in Portage Township, have a household income of 80% of the median or less, have no outstanding real estate taxes and are unable to do the work themselves. You may get an application at South Haven and Portage Public libraries, Portage City Hall, Portage Township Trustee's office, Salon 360, and Nativity of Our Savior Church. For more information you may contact, Robin Wilkening at 219-762-1623, X22, Portage Trustee's office.
Annual Fall Dinner and Recognition Ceremony
A Salute to the Veterans and the City of Portage
Portage Chamber of Commerce
Invitations are in the mail for the Chamber's Fall Banquet taking place at Woodland Park on November 9 at 6:00 pm. Please RSVP for a great evening by October 31, 2013. Click here for sponsorship opportunities are available for this exclusive event. If you would like to contribute to the banquet but a sponsorship is not feasible, gift basket donations are also a great way to showcase your business. Donations can be dropped off at the Chamber office.
Reading Buddies Drive
United Way
The United Way's literacy program places new stuffed animals in the laps of 1st and 2nd graders in local elementary schools as Reading Buddies. The children read aloud everyday to their buddy to increase reading scores and motivation to read. In September over 3,000 buddies were delivered to schools throughout NWI but some of the Portage schools are on a waiting list until we can collect more stuffed animals.
We invite your company to host a drive so we can begin to fill the Portage school's orders. Please complete the attached form and we will deliver posters and "I Gave a Hug" stickers to you prior to your drive. When your drive is finished we will pick up the buddies, take a photo and post on the United Way website. Click here for an application. Any questions can be directed to mackenna@unitedwaypc.org or call 219-464-3583.
• Crystal structures, kept here for reference:
'''
# MgAg2Au6 (PBE, optimized geometry)
# Space group   C2/m, No. 12
# Polymorph energy (0 for the lowest one)   0.051 eV per atom
# DOS at the Fermi energy   3.01 states/eV/f.u.
# Magnetization   0.000 μB per formula unit
data_MgAg2Au6
_chemical_formula_sum 'Mg1 Ag2 Au6'
_space_group_name_H-M_alt 'P 1'
_space_group_IT_number 1
_cell_length_a 5.820
_cell_length_b 5.820
_cell_length_c 5.159
_cell_angle_alpha 102.68
_cell_angle_beta 102.68
_cell_angle_gamma 86.77
loop_
_space_group_symop_operation_xyz
'x,y,z'
loop_
_atom_site_label
_atom_site_type_symbol
_atom_site_fract_x
_atom_site_fract_y
_atom_site_fract_z
Mg1 Mg 0.000 0.000 0.000
Ag1 Ag 0.332 0.332 0.336
Ag2 Ag 0.668 0.668 0.664
Au1 Au 0.158 0.510 0.835
Au2 Au 0.173 0.827 0.500
Au3 Au 0.490 0.842 0.165
Au4 Au 0.510 0.158 0.835
Au5 Au 0.827 0.173 0.500
Au6 Au 0.842 0.490 0.165

***

# InCu2Pb (PBE, optimized geometry)
# Space group   C2/m, No. 12
# DFT total energy   -13.78 eV per formula unit
# DOS at the Fermi energy   1.00 states/eV/f.u.
# Magnetization   0.000 μB per formula unit
data_InCu2Pb
_chemical_formula_sum 'In1 Cu2 Pb1'
_space_group_name_H-M_alt 'P 1'
_space_group_IT_number 1
_cell_length_a 4.702
_cell_length_b 4.702
_cell_length_c 5.956
_cell_angle_alpha 105.48
_cell_angle_beta 105.48
_cell_angle_gamma 41.23
loop_
_space_group_symop_operation_xyz
'x,y,z'
loop_
_atom_site_label
_atom_site_type_symbol
_atom_site_fract_x
_atom_site_fract_y
_atom_site_fract_z
In1 In 0.000 0.000 0.000
Cu1 Cu 0.250 0.250 0.826
Cu2 Cu 0.750 0.750 0.174
Pb1 Pb 0.500 0.500 0.500

***

# TbTm2PuO8 (PBE, optimized geometry)
# Space group   P2/m, No. 10
# Formation energy (no corrections)   -3609 kJ/mol of formula units
# Magnetization   0.999 μB per formula unit
data_TbTm2PuO8
_chemical_formula_sum 'Tb1 Tm2 Pu1 O8'
_space_group_name_H-M_alt 'P 1'
_space_group_IT_number 1
_cell_length_a 5.047
_cell_length_b 6.924
_cell_length_c 5.047
_cell_angle_alpha 90.00
_cell_angle_beta 90.66
_cell_angle_gamma 90.00
loop_
_space_group_symop_operation_xyz
'x,y,z'
loop_
_atom_site_label
_atom_site_type_symbol
_atom_site_fract_x
_atom_site_fract_y
_atom_site_fract_z
Tb1 Tb 0.000 0.000 0.000
Tm1 Tm 0.500 0.240 0.500
Tm2 Tm 0.500 0.760 0.500
Pu1 Pu 0.000 0.500 0.000
O1 O 0.186 0.279 0.812
O2 O 0.186 0.721 0.812
O3 O 0.284 0.500 0.282
O4 O 0.312 0.000 0.310
O5 O 0.688 0.000 0.690
O6 O 0.716 0.500 0.718
O7 O 0.814 0.279 0.188
O8 O 0.814 0.721 0.188

***

# AlAgPt2 (PBE, optimized geometry)
# Space group   Cmmm, No. 65
# Polymorph energy (0 for the lowest one)   0.166 eV per atom
# DOS at the Fermi energy   1.04 states/eV/f.u.
# Magnetization   0.000 μB per formula unit
data_AlAgPt2
_chemical_formula_sum 'Al1 Ag1 Pt2'
_space_group_name_H-M_alt 'P 1'
_space_group_IT_number 1
_cell_length_a 4.704
_cell_length_b 4.704
_cell_length_c 2.922
_cell_angle_alpha 90.00
_cell_angle_beta 90.00
_cell_angle_gamma 104.89
loop_
_space_group_symop_operation_xyz
'x,y,z'
loop_
_atom_site_label
_atom_site_type_symbol
_atom_site_fract_x
'''
Recycling District and Barnes & Noble
The Recycling & Waste Reduction District of Porter County will mark the 2013 America Recycles Day with Barnes & Noble bookstore, with a free storytime and puppet show for children 11 a.m. Saturday, Nov. 16. Barnes & Noble is located in the Valparaiso Marketplace, 150 Silhavy Rd.
Contact Person Abe Paluch
Website www.ItMeansTheWorld.org
Phone 219-707-8278
Email apaluch@itmeanstheworld.org
Fall Decorations/Great Compost
Wast Reduction District of Porter County
We are reminding residents that all of those once-live fall decorations, such as pumpkins, gourds, leaves, mums, corn stalks, hay, etc., are accepted at either the Valparaiso compost site, 2150 W. Lincolnway, or the Boone Grove compost site, 546 South 400 West. Organic materials brought to the sites will be added to the compost windrows to create a rich soil amendment available free to Porter County residents to use in their gardens during upcoming growing seasons.
Regular season hours for the Valpo site are 9 a.m.to 5 p.m. Mondays through Fridays, and 9 a.m. to 4 p.m. Saturdays. Regular hours for the Boone Grove compost site, owned and operated by the district, are noon to 5 p.m. Mondays, Wednesdays and Fridays, and 9 a.m. to 4 p.m. Saturdays.
Under the Tree
City Point Church
Do you need help this Christmas purchasing presents for your children or know someone who does? City Point Church has created the "Under The Tree" project. For more information or to apply contact www.citypoint.tv or leave a voicemail for Pastor DJ Capron at 649-1148.
Family and Youth Services Bureau
The Family and Youth Services Bureau presents a Family Life Workshop on the topic "Identifying and understanding Attention-Deficit Hyperactivity Disorder". Treatment options as well as a complete overview of ADHD will be discussed on Nov. 19 from 6-7:30pm at the Family & Youth Services Bureau at 253 W. Lincolnway, Valparaiso. Please RSVP by calling 464-9585.
Vera Bradley Bingo/Holiday Open House
Rittenhouse of Portage
Join Rittenhouse on Saturday November 9 from 1-3pm
20 games of Bingo. Prizes will be Vera Bradley items. Tickets $20/advance;$25/door. If your not intersted in Bingo come browse the vendor booths to do some Holiday shopping. Open to the public. All proceeds are donated to Alzheimer's Associaton. Contact Person Judy Kukelka
Website www.rittenhousesl.com
Phone 219-764-2900
Email jkukelka@rittenhousesl.com
Caregiver Support Group
Millers Senior Living Community
Saturday, November 9 10:00a.m.
The Caregiver Support Group provides information in a supportive environment where caregivers can share problems, ideas and successful solutions. The public is invited to this FREE meeting. Refreshments will be served.
This ongoing Caregiver Support Group meets on the second Saturday of each month at 10AM at Miller's Senior Living Community at 5911 Lute Rd. Portage. For more information call Gwen Kiser at (219) 764-0628.
NEW! Event Planning and Hospitality Industry Marketing Campaign
Portage Parks Department
Portage Parks Department is looking for local businesses that provide services in the event planning and hospitality industry for a new marketing campaign. Businesses we are targeting include hotels, floral arrangements, DJs, lighting, party decorating, bars and restaurants, live entertainment, photography and printing services. If you would like us to showcase your business in a packet of materials that will be distributed to individuals and organizations renting our halls at Woodland Park give us a call. We will also post your information on our new website. There is no charge at this time for advertising with us. Please contact Lori Wilke at lwilkie@portage-in.com for more information or call 762-1675.
New E-mail Addresses
Portage Chamber of Commerce
Make note of e-mail changes....
Nancy Simpson
Mary Linoski
Terry Hufford
Upcoming Chamber Happenings
November 6th 9:00am - Rise and Shine, WorkOne presenting Business Assistance Programs at Portage University Center
November 9th 6:00 pm - Annual Awards and Recognition Banquet
November 21 11:30 am - Chamber Luncheon at Texas Roadhouse
November 28 & 29 - Chamber Office Closed
December 4 9:00 am - Rise and Shine, Scott McClure, Rhame & Elwood Estate Planning, the how and why at the IMAX Theater Conference Room
December 19 5:00-7:00 pm - Christmas Open House at the Chamber Office
December 24, 25 and January 1 - Office Closed
Help spread the word about our new email marketing benefit to Portage Chamber members. Go to Contact Us on our website and complete the Event Form to submit your entry. Entries should be in by end of business every Friday to be included on the next Wednesday's newsletter.
Thank you for continued support of the Greater Portage Chamber of Commerce.